........
Computed, not measured: PtAu after structural relaxation at the PBE level of DFT.

POSCAR file:
```
PtAu
1.0
5.681 0.006 -0.016
2.532 4.811 -0.009
-3.240 -3.591 2.482
Pt Au
2 2
direct
0.510 0.505 0.005
0.574 0.245 0.329
0.997 0.997 0.000
0.087 0.753 0.334
```

As for the formation energy from the elements: 0.073 eV per atom. As for the space group: C2/m, No. 12.

Computed, not measured: KTaW after structural relaxation at the PBE level of DFT.

POSCAR file:
```
KTaW
1.0
-3.764 -6.341 0.970
-2.594 -5.962 -3.612
5.214 5.008 1.746
W K Ta
1 1 1
direct
0.706 0.706 0.000
0.007 0.007 0.000
0.286 0.286 0.000
```

As for the formation energy from the elements: 1.061 eV per atom. As for the space group: I4mm, No. 107. Its energy above the most stable polymorph in this dataset is 44.0 kJ/mol of formula units.

Computed, not measured: TiSiN after structural relaxation at the PBE level of DFT.

POSCAR file:
```
TiSiN
1.0
-1.985 -0.333 -2.001
2.106 -1.048 -1.914
-3.032 -16.642 5.774
N Si Ti
4 4 4
direct
0.004 0.750 0.696
0.496 0.750 0.196
0.504 0.250 0.804
0.996 0.250 0.304
0.002 0.250 0.551
0.502 0.750 0.949
0.998 0.750 0.449
0.498 0.250 0.051
0.003 0.750 0.812
0.997 0.250 0.188
0.503 0.250 0.688
0.497 0.750 0.312
```

As for the energy relative to the elements, uncorrected: -0.81 eV per atom. As for the space group: Pnma, No. 62.

Computed, not measured: AgSnPb3 after structural relaxation at the PBE level of DFT.

POSCAR file:
```
AgSnPb3
1.0
6.731 0.000 0.204
0.000 6.485 0.000
-0.761 0.000 13.101
Sn Pb Ag
4 12 4
direct
0.703 0.011 0.700
0.703 0.989 0.200
0.297 0.989 0.300
0.297 0.011 0.800
0.427 0.246 0.026
0.427 0.754 0.526
0.573 0.754 0.974
0.899 0.745 0.427
0.573 0.246 0.474
0.899 0.255 0.927
0.728 0.494 0.705
0.728 0.506 0.205
0.101 0.255 0.573
0.272 0.494 0.795
0.272 0.506 0.295
0.101 0.745 0.073
0.061 0.212 0.141
0.939 0.212 0.359
0.939 0.788 0.859
0.061 0.788 0.641
```

As for the formation energy from the elements: 0.066 eV per atom. As for the space group: P2/c, No. 13. Its energy above the most stable polymorph in this dataset is 0.0 kJ/mol of formula units.

Computed, not measured: NdDy2MnN4 after structural relaxation at the PBE level of DFT.

POSCAR file:
```
NdDy2MnN4
1.0
-2.301 -2.063 1.446
4.213 1.022 4.136
-5.895 9.191 3.735
Dy Nd N Mn
4 2 8 2
direct
0.368 0.737 0.956
0.632 0.263 0.044
0.632 0.263 0.456
0.368 0.737 0.544
........
Please write out everything above without altering anything.
Computed, not measured: PtAu after structural relaxation at the PBE level of DFT.

POSCAR file:
```
PtAu
1.0
5.681 0.006 -0.016
2.532 4.811 -0.009
-3.240 -3.591 2.482
Pt Au
2 2
direct
0.510 0.505 0.005
0.574 0.245 0.329
0.997 0.997 0.000
0.087 0.753 0.334
```

As for the formation energy from the elements: 0.073 eV per atom. As for the space group: C2/m, No. 12.

Computed, not measured: KTaW after structural relaxation at the PBE level of DFT.

POSCAR file:
```
KTaW
1.0
-3.764 -6.341 0.970
-2.594 -5.962 -3.612
5.214 5.008 1.746
W K Ta
1 1 1
direct
0.706 0.706 0.000
0.007 0.007 0.000
0.286 0.286 0.000
```

As for the formation energy from the elements: 1.061 eV per atom. As for the space group: I4mm, No. 107. Its energy above the most stable polymorph in this dataset is 44.0 kJ/mol of formula units.

Computed, not measured: TiSiN after structural relaxation at the PBE level of DFT.

POSCAR file:
```
TiSiN
1.0
-1.985 -0.333 -2.001
2.106 -1.048 -1.914
-3.032 -16.642 5.774
N Si Ti
4 4 4
direct
0.004 0.750 0.696
0.496 0.750 0.196
0.504 0.250 0.804
0.996 0.250 0.304
0.002 0.250 0.551
0.502 0.750 0.949
0.998 0.750 0.449
0.498 0.250 0.051
0.003 0.750 0.812
0.997 0.250 0.188
0.503 0.250 0.688
0.497 0.750 0.312
```

As for the energy relative to the elements, uncorrected: -0.81 eV per atom. As for the space group: Pnma, No. 62.

Computed, not measured: AgSnPb3 after structural relaxation at the PBE level of DFT.

POSCAR file:
```
AgSnPb3
1.0
6.731 0.000 0.204
0.000 6.485 0.000
-0.761 0.000 13.101
Sn Pb Ag
4 12 4
direct
0.703 0.011 0.700
0.703 0.989 0.200
0.297 0.989 0.300
0.297 0.011 0.800
0.427 0.246 0.026
0.427 0.754 0.526
0.573 0.754 0.974
0.899 0.745 0.427
0.573 0.246 0.474
0.899 0.255 0.927
0.728 0.494 0.705
0.728 0.506 0.205
0.101 0.255 0.573
0.272 0.494 0.795
0.272 0.506 0.295
0.101 0.745 0.073
0.061 0.212 0.141
0.939 0.212 0.359
0.939 0.788 0.859
0.061 0.788 0.641
```

As for the formation energy from the elements: 0.066 eV per atom. As for the space group: P2/c, No. 13. Its energy above the most stable polymorph in this dataset is 0.0 kJ/mol of formula units.

Computed, not measured: NdDy2MnN4 after structural relaxation at the PBE level of DFT.

POSCAR file:
```
NdDy2MnN4
1.0
-2.301 -2.063 1.446
4.213 1.022 4.136
-5.895 9.191 3.735
Dy Nd N Mn
4 2 8 2
direct
0.368 0.737 0.956
0.632 0.263 0.044
0.632 0.263 0.456
0.368 0.737 0.544